Computed, not measured: crystalline ScIn4Pd2 at its relaxed geometry at the GGA-PBE level of DFT.

Results
The value obtained for the formation energy from the elements is -491 meV per atom. The value obtained for the energy is -31.111 eV per cell. Its space-group type is P4/mmm. The density of states at the Fermi level is 0.44 states/eV per atom.

Cell lengths 4.575, 4.575, 7.000 Å; angles 90.00, 90.00, 90.00 degrees
Atoms (fractional coordinates):
Sc 0.000 0.000 0.000
In 0.000 0.500 0.274
In 0.000 0.500 0.726
In 0.500 0.000 0.274
In 0.500 0.000 0.726
Pd 0.000 0.000 0.500
Pd 0.500 0.500 0.000

---

Computed, not measured: crystalline ScInPd4 at its relaxed geometry at the GGA-PBE level of DFT.

Results
The value obtained for the formation energy from the elements is -668 meV per atom. The value obtained for the energy is -67.702 eV per cell. Its space-group type is C2/m. The density of states at the Fermi level is 0.35 states/eV per atom.

Cell lengths 9.416, 3.810, 6.031 Å; angles 90.00, 110.76, 90.00 degrees
Atoms (fractional coordinates):
Sc 0.000 0.000 0.000
Sc 0.500 0.500 0.000
In 0.000 0.000 0.500
In 0.500 0.500 0.500
Pd 0.162 0.500 0.325
Pd 0.165 0.500 0.833
Pd 0.335 0.000 0.167
Pd 0.338 0.000 0.675
Pd 0.662 0.000 0.325
Pd 0.665 0.000 0.833
Pd 0.835 0.500 0.167
Pd 0.838 0.500 0.675

---

Computed, not measured: crystalline ScIn2Pd8 at its relaxed geometry at the GGA-PBE level of DFT.

Results
The value obtained for the formation energy from the elements is -535 meV per atom. The value obtained for the energy is -59.241 eV per cell. Its space-group type is Immm. Its energy above the most stable polymorph in this dataset is 0.015 eV per atom. The density of states at the Fermi level is 0.42 states/eV per atom.

Cell lengths 7.521, 7.521, 7.521 Å; angles 148.55, 119.43, 69.85 degrees
Atoms (fractional coordinates):
Sc 0.000 0.000 0.000
In 0.331 0.331 0.000
In 0.669 0.669 0.000
Pd 0.092 0.835 0.257
Pd 0.158 0.658 0.500
Pd 0.266 0.500 0.766
Pd 0.422 0.165 0.257
Pd 0.578 0.835 0.743
Pd 0.734 0.500 0.234
Pd 0.842 0.342 0.500
Pd 0.908 0.165 0.743

---

Computed, not measured: crystalline Sc6InPd12 at its relaxed geometry at the GGA-PBE level of DFT.

Results
The value obtained for the formation energy from the elements is -765 meV per atom. The value obtained for the energy is -117.584 eV per cell. Its space-group type is R-3. The density of states at the Fermi level is 0.41 states/eV per atom.

Cell lengths 7.653, 7.653, 7.653 Å; angles 110.93, 110.93, 110.93 degrees
Atoms (fractional coordinates):
Sc 0.079 0.573 0.358
Sc 0.358 0.079 0.573
Sc 0.427 0.642 0.921
Sc 0.573 0.358 0.079
Sc 0.642 0.921 0.427
Sc 0.921 0.427 0.642
In 0.000 0.000 0.000
Pd 0.112 0.172 0.740
Pd 0.172 0.740 0.112
Pd 0.206 0.327 0.476
Pd 0.260 0.888 0.828
Pd 0.327 0.476 0.206
Pd 0.476 0.206 0.327
Pd 0.524 0.794 0.673
Pd 0.673 0.524 0.794
Pd 0.740 0.112 0.172
Pd 0.794 0.673 0.524
Pd 0.828 0.260 0.888
Pd 0.888 0.828 0.260

---

Computed, not measured: crystalline Sc2InPd2 at its relaxed geometry at the GGA-PBE level of DFT.

Results
The value obtained for the formation energy from the elements is -551 meV per atom. The value obtained for the energy is -57.081 eV per cell. Its space-group type is I4/mmm. The density of states at the Fermi level is 0.62 states/eV per atom.

Cell lengths 5.103, 5.103, 8.150 Å; angles 90.00, 90.00, 90.00 degrees
Atoms (fractional coordinates):
Sc 0.000 0.500 0.250
Sc 0.000 0.500 0.750
Sc 0.500 0.000 0.250
Sc 0.500 0.000 0.750
In 0.000 0.000 0.000
In 0.500 0.500 0.500
Pd 0.000 0.000 0.347
Pd 0.000 0.000 0.653
Pd 0.500 0.500 0.153
Pd 0.500 0.500 0.847

---

Computed, not measured: crystalline ScInPd14 at its relaxed geometry at the GGA-PBE level of DFT.

Results
The value obtained for the formation energy from the elements is -313 meV per atom. The value obtained for the energy is -86.775 eV per cell. Its space-group type is P4/mmm. The density of states at the Fermi level is 1.67 states/eV per atom.
Your job: start at the top of the entries earlier on and give back each line, ending with the one that has "the most".
Computed, not measured: crystalline ScIn4Pd2 at its relaxed geometry at the GGA-PBE level of DFT.

Results
The value obtained for the formation energy from the elements is -491 meV per atom. The value obtained for the energy is -31.111 eV per cell. Its space-group type is P4/mmm. The density of states at the Fermi level is 0.44 states/eV per atom.

Cell lengths 4.575, 4.575, 7.000 Å; angles 90.00, 90.00, 90.00 degrees
Atoms (fractional coordinates):
Sc 0.000 0.000 0.000
In 0.000 0.500 0.274
In 0.000 0.500 0.726
In 0.500 0.000 0.274
In 0.500 0.000 0.726
Pd 0.000 0.000 0.500
Pd 0.500 0.500 0.000

---

Computed, not measured: crystalline ScInPd4 at its relaxed geometry at the GGA-PBE level of DFT.

Results
The value obtained for the formation energy from the elements is -668 meV per atom. The value obtained for the energy is -67.702 eV per cell. Its space-group type is C2/m. The density of states at the Fermi level is 0.35 states/eV per atom.

Cell lengths 9.416, 3.810, 6.031 Å; angles 90.00, 110.76, 90.00 degrees
Atoms (fractional coordinates):
Sc 0.000 0.000 0.000
Sc 0.500 0.500 0.000
In 0.000 0.000 0.500
In 0.500 0.500 0.500
Pd 0.162 0.500 0.325
Pd 0.165 0.500 0.833
Pd 0.335 0.000 0.167
Pd 0.338 0.000 0.675
Pd 0.662 0.000 0.325
Pd 0.665 0.000 0.833
Pd 0.835 0.500 0.167
Pd 0.838 0.500 0.675

---

Computed, not measured: crystalline ScIn2Pd8 at its relaxed geometry at the GGA-PBE level of DFT.

Results
The value obtained for the formation energy from the elements is -535 meV per atom. The value obtained for the energy is -59.241 eV per cell. Its space-group type is Immm. Its energy above the most stable polymorph in this dataset is 0.015 eV per atom. The density of states at the Fermi level is 0.42 states/eV per atom.